The fourth day of the Pentecost Congress dawned bright and clear, and everyone was glad of the morning coffee served before the first event of the day. Everyone could sense that this day would be the decisive day in the congress: the last day before the finalization of the memorandum.
Youth Pentecost
The first talk of the day came from three representatives of the youth at the congress. They and their companions had been working hard to prepare their own youth memorandum for the rest of the Schoenstatt family. There are many difficulties faced by the youth, but the biggest one is how disconnected they feel from the rest of the Schoenstatt family. They emphasized the need for representation in decision-making institutions, support from the whole family, and exposure and collaboration with the other branches of the family. They also pledged their strength and zeal to the family and the mission. The presentation was very well received, and many participants stated how delighted they were to see the maturity and zeal of the youth for their Schoenstatt family.
Schoenstatt’s Charism and the Church
Father Alexandre Ami Mello commented on the youth presentation at the beginning of his talk:
“We have to be proud of the youth. They just gave us an example of maturity, of how to treat deep themes but in such a simple way. They also have to live hard times, but they do it with real maturity because they have identified what comes in the future: looking at how to walk together with this family which they are proud of… The aim of the congress is to elaborate how God is moving Schoenstatt in the church and world today. If we do what the youth have proposed, half the work is done.”
Father Awi Mello began his talk with this question: How can we help the world today as church, and what can we learn from today’s church and world? He stressed the importance of Schoenstatt being part of the Church, helping the world as Church. There is a danger of self-referentialism within movements like Schoenstatt, so he called us to remember that we are part of the Church. We must be proud of our family in Christ. “Without the Church, we do not exist, and only in the Church do we have the ‘right to exist.’” The words on Father Kentenich’s tomb sum up his stance on this point: Dilexit Ecclesiam.
Working as Church, we are called to live our charism as Church in the world. We are called to be living transparencies of God, drawing close to others through humble listening and open dialogue. The laity is called to be active in all areas of society and to transform their daily work through their everyday sanctity; our quiet, daily piety is a powerful tool for evangelization. Finally, he reintroduced the point of Synodality which has been very important in the discussions this week. Schoenstatt is called to be synodal within itself but also with the Church, being active in the life of the Church. Rooted in the gospel and tradition, Schoenstatt looks towards the future.
____________
# 1
This entry pairs a crystal structure of ZnPt18 with its calculated X-ray diffraction stick pattern. Radiation: λ = 1.5418 Å (Cu Kα). Structure: a DFT-relaxed cell (GGA-PBE, OQMD).
Kinematic intensities with the Lorentz-polarization factor, no thermal factor.

Most intense lines, 5 to 70 degrees two-theta, low angle first:
two_theta, d (Å), I/Imax
6.71, 13.167, 8
8.39, 10.534, 8
39.08, 2.305, 100
40.12, 2.248, 36
44.74, 2.026, 14
45.79, 1.982, 45
46.56, 1.951, 11
65.94, 1.417, 17
66.80, 1.400, 8
67.35, 1.390, 14

Structural model:
Lattice parameters (Å, degrees): 5.6103 2.8010 52.6679 90.00 90.00 90.00
Fractional coordinates of all 38 atoms:
Zn1 0.1250 0.2500 0.3517
Zn2 0.8750 0.7500 0.6483
Pt1 0.1242 0.2500 0.7542
Pt2 0.1250 0.2500 0.0566
Pt3 0.1250 0.2500 0.1322
Pt4 0.1250 0.2500 0.2079
Pt5 0.1250 0.2500 0.2839
Pt6 0.1252 0.2500 0.8300
Pt7 0.1250 0.2500 0.9056
Pt8 0.1250 0.2500 0.9811
Pt9 0.1369 0.2500 0.6778
Pt10 0.3741 0.7500 0.2458
Pt11 0.3750 0.7500 0.0189
Pt12 0.3750 0.7500 0.0944
Pt13 0.3752 0.7500 0.1700
Pt14 0.3750 0.7500 0.7163
Pt15 0.3750 0.7500 0.7920
Pt16 0.3750 0.7500 0.8678
Pt17 0.3750 0.7500 0.9434
Pt18 0.3869 0.7500 0.3222
Pt19 0.6131 0.2500 0.6778
Pt20 0.6250 0.2500 0.0566
Pt21 0.6250 0.2500 0.1322
Pt22 0.6250 0.2500 0.2080
Pt23 0.6250 0.2500 0.2837
Pt24 0.6248 0.2500 0.8300
Pt25 0.6250 0.2500 0.9056
Pt26 0.6250 0.2500 0.9811
Pt27 0.6259 0.2500 0.7542
Pt28 0.8631 0.7500 0.3222
Pt29 0.8750 0.7500 0.0189
Pt30 0.8750 0.7500 0.0944
Pt31 0.8748 0.7500 0.1700
Pt32 0.8750 0.7500 0.7161
Pt33 0.8750 0.7500 0.7921
Pt34 0.8750 0.7500 0.8678
Pt35 0.8750 0.7500 0.9434
Pt36 0.8758 0.7500 0.2458

***

# 2
This entry pairs a crystal structure of SmHoGeCl2 with its calculated X-ray diffraction stick pattern. Radiation: λ = 1.5418 Å (Cu Kα). Structure: a DFT-relaxed cell (GGA-PBE, OQMD).
Kinematic intensities with the Lorentz-polarization factor, no thermal factor.

Most intense lines, 5 to 70 degrees two-theta, low angle first:
two_theta, d (Å), I/Imax
9.11, 9.703, 91
24.97, 3.566, 11
26.63, 3.347, 43
31.13, 2.873, 100
37.54, 2.396, 21
43.98, 2.059, 36
45.02, 2.014, 12
45.21, 2.006, 36
54.86, 1.673, 19
64.91, 1.437, 12

Structural model:
Lattice parameters (Å, degrees): 4.1172 4.1172 9.7029 90.00 90.00 120.00
Fractional coordinates of all 5 atoms:
Sm1 0.0000 0.0000 0.0000
Ho1 0.6667 0.3333 0.3375
Ge1 0.3333 0.6667 0.1730
Cl1 0.0000 0.0000 0.4945
Cl2 0.6667 0.3333 0.8346

***

# 3
This entry pairs a crystal structure of Y3Tm4Fe2Te2 with its calculated X-ray diffraction stick pattern. Radiation: λ = 1.5418 Å (Cu Kα). Structure: a DFT-relaxed cell (GGA-PBE, OQMD).
Kinematic intensities with the Lorentz-polarization factor, no thermal factor.

Most intense lines, 5 to 70 degrees two-theta, low angle first:
two_theta, d (Å), I/Imax
24.92, 3.572, 38
30.67, 2.915, 43
33.84, 2.649, 82
33.97, 2.639, 100
34.36, 2.610, 27
34.78, 2.579, 90
39.12, 2.303, 27
46.89, 1.937, 37
59.07, 1.564, 33
62.63, 1.483, 25

Structural model:
____________
Update from Reflection team and Discussions

The morning continued with an update from the reflection team. They shared the main points they had synthesized from all of the discussions and suggestions they had collected throughout the congress. These points were:
- Father Kentenich and our charism
- Mission
- Renewal of the charism (internal)
- Call to action today (external)
- Youth as subjects (not objects)
- Synodality
- Organism of attachments
- Our frailties
- Confidence
After the speakers related these points and offered a brief explanation for each one, the participants broke off into their language groups to discuss the points. They wanted to come up with two words or phrases that summarized the most important aspects of all of the points. It was a very fruitful discussion, and the sixteen groups came back to the plenary discussion filled with ideas, hope, and enthusiasm.
Educated and Sent Out
Misplaced crystal structures.
/*
InSb4Te7: simulated X-ray powder pattern (copper Kα), based on a DFT-relaxed cell (PBE, Alexandria).
Kinematic intensities with the Lorentz-polarization factor, no thermal factor.

Largest 6 diffraction maxima, most intense first, 2θ from 5° to 70°:
| 2θ (°) | Rel. int. | index |
| --- | --- | --- |
| 27.86 | 100 | 1 0 4 |
| 41.46 | 37 | 1 1 0 |
| 38.10 | 34 | 0 1 8 |
| 50.69 | 19 | 0 2 4 |
| 67.49 | 16 | 2 1 4 |
| 57.57 | 10 | 2 0 8 |

Atomic structure:
Lattice parameters (Å, degrees): 4.3558 4.3558 24.2341 90.00 90.00 120.00
Space group P-3m1 (No. 164)
Inequivalent atoms, fractional coordinates:
In 0.0000 0.0000 0.0000 (multiplicity 1)
Sb 0.3333 0.6667 0.1586 (multiplicity 2)
Sb 0.3333 0.6667 0.4183 (multiplicity 2)
Te 0.0000 0.0000 0.2286 (multiplicity 2)
Te 0.0000 0.0000 0.5000 (multiplicity 1)
Te 0.3333 0.6667 0.6520 (multiplicity 2)
Te 0.3333 0.6667 0.9235 (multiplicity 2)


ZrCo5Si3: simulated X-ray powder pattern (copper Kα), based on a DFT-relaxed cell (PBE, Alexandria).
Kinematic intensities with the Lorentz-polarization factor, no thermal factor.

Largest 6 diffraction maxima, most intense first, 2θ from 5° to 70°:
| 2θ (°) | Rel. int. | index |
| --- | --- | --- |
| 39.90 | 100 | 2 3 1 |
| 50.23 | 33 | 0 0 2 |
| 30.99 | 16 | 2 3 0 |
| 55.14 | 16 | 7 1 0 |
| 37.85 | 16 | 4 0 1 |
| 45.02 | 10 | 5 2 0 |

Atomic structure:
Lattice parameters (Å, degrees): 14.5215 14.5215 3.6333 90.00 90.00 120.00
Space group P6_3/m (No. 176)
Inequivalent atoms, fractional coordinates:
Zr 0.1002 0.3942 0.2500 (multiplicity 6)
Co 0.0268 0.1284 0.2500 (multiplicity 6)
Co 0.0493 0.7805 0.2500 (multiplicity 6)
Co 0.0741 0.5398 0.7500 (multiplicity 6)
Co 0.1494 0.7356 0.7500 (multiplicity 6)
Co 0.2238 0.6523 0.2500 (multiplicity 6)
Si 0.0589 0.6301 0.2500 (multiplicity 6)
Si 0.1165 0.2506 0.7500 (multiplicity 6)
Si 0.2371 0.5549 0.7500 (multiplicity 6)

* * * * *

For Ca5Mn3, a DFT-relaxed cell (PBE, Alexandria) gives the computed powder diffractogram in this record (Cu Kα, 1.54184 Å).
Kinematic intensities with the Lorentz-polarization factor, no thermal factor.

Structure:
```
data_Ca5Mn3
_cell_length_a 9.2052
_cell_length_b 9.2052
_cell_length_c 6.4611
_cell_angle_alpha 90.00
_cell_angle_beta 90.00
_cell_angle_gamma 120.00
_space_group_name_H-M_alt 'P 63/m c m'
_space_group_IT_number 193
_space_group_name_Hall '-P 6c 2'
loop_
_atom_site_label
_atom_site_type_symbol
_atom_site_fract_x
_atom_site_fract_y
_atom_site_fract_z
_atom_site_occupancy
Ca1 Ca 0.0000 0.2510 0.2500 1
Ca2 Ca 0.3333 0.6667 0.0000 1
Mn1 Mn 0.0000 0.4105 0.7500 1
```

Principal peaks in the range 15° ≤ 2θ ≤ 90°, by intensity:
2theta  I_rel  hkl
32.80  1000  2 1 1
33.90  693  1 1 2
33.73  350  3 0 0
43.25  292  3 1 1
29.65  262  2 1 0
52.21  239  2 1 3
27.61  230  0 0 2
35.78  166  2 0 2
65.26  133  5 0 2
59.96  101  3 1 3
*/
After lunch, there was a long break for coffee and discussions within countries and regions. There were many talks and discussions throughout the week, many ideas to process and many testimonies from different parts of the world. Each group wanted to formulate some strategies for implementing what they had learned here. America and Canada decided that they wanted to make a video about the youth’s mini Pentecost Congress and about the memorandum when it was finalized. This plan was suggested to the whole congress as a potential international idea.
Relaxing River Rhine
The evening held a wonderful surprise: a boat trip on the Rhine river. It was a time for relaxation and community. The river was beautiful in the evening light, and there were historic buildings to look at on both banks. Everyone enjoyed the company, the food, and the music provided by the music team and the youth from Central and South America.
Inspirations from the Day
Records of crystals, kept here for reference
____________
For Sr2Li16Sm, DFT lattice parameters and positions (GGA-PBE) gives the calculated powder diffraction line list in this record (Cu Kα (λ = 1.5418 Å)).
Kinematic intensities with the Lorentz-polarization factor, no thermal factor.

Structural model:
a = 7.8254 Å, b = 7.8254 Å, c = 7.8254 Å
α = 82.80°, β = 82.80°, γ = 82.80°
Fractional coordinates of all 19 atoms:
Sr1 0.0000 0.0000 0.0000
Sr2 0.3061 0.3061 0.3061
Li1 0.1644 0.6443 0.6443
Li2 0.3065 0.3065 0.7954
Li3 0.3065 0.7954 0.3065
Li4 0.3512 0.6485 0.9425
Li5 0.3512 0.9425 0.6485
Li6 0.4928 0.9984 0.9984
Li7 0.5452 0.5452 0.5452
Li8 0.6443 0.1644 0.6443
Li9 0.6443 0.6443 0.1644
Li10 0.6485 0.3512 0.9425
Li11 0.6485 0.9425 0.3512
Li12 0.7954 0.3065 0.3065
Li13 0.9425 0.3512 0.6485
Li14 0.9425 0.6485 0.3512
Li15 0.9984 0.4928 0.9984
Li16 0.9984 0.9984 0.4928
Sm1 0.7480 0.7480 0.7480

Principal peaks in the range 5 to 70 degrees two-theta, low angle first:
Position (°2θ)  d_spacing  I (rel.)
15.3  5.787  25
17.1  5.175  100
24.6  3.615  37
25.5  3.490  30
29.9  2.988  34
30.9  2.894  21
34.7  2.588  26
34.9  2.572  19
35.5  2.526  27
50.0  1.824  21

For Li3Sm5Te8, DFT lattice parameters and positions (GGA-PBE) gives the calculated powder diffraction line list in this record (Cu Kα (λ = 1.5418 Å)).
Kinematic intensities with the Lorentz-polarization factor, no thermal factor.

Structural model:
a = 8.7929 Å, b = 8.7929 Å, c = 8.7929 Å
α = 60.00°, β = 60.00°, γ = 60.00°
Fractional coordinates of all 16 atoms:
Li1 0.0000 0.5000 0.5000
Li2 0.5000 0.0000 0.5000
Li3 0.5000 0.5000 0.0000
Sm1 0.0000 0.0000 0.0000
Sm2 0.0000 0.0000 0.5000
Sm3 0.0000 0.5000 0.0000
Sm4 0.5000 0.0000 0.0000
Sm5 0.5000 0.5000 0.5000
Te1 0.2500 0.2500 0.7400
Te2 0.2500 0.7400 0.2500
Te3 0.2536 0.2536 0.2536
Te4 0.2600 0.7500 0.7500
Te5 0.7400 0.2500 0.2500
Te6 0.7464 0.7464 0.7464
Te7 0.7500 0.2600 0.7500
Te8 0.7500 0.7500 0.2600

Principal peaks in the range 5 to 70 degrees two-theta, low angle first:
Position (°2θ)  d_spacing  I (rel.)
12.3  7.179  14
23.7  3.749  14
28.7  3.109  100
31.4  2.853  10
37.6  2.393  4
41.1  2.198  75
50.9  1.795  27
56.9  1.619  5
59.5  1.554  12
67.4  1.390  34

For LiSm4Te4, DFT lattice parameters and positions (GGA-PBE) gives the calculated powder diffraction line list in this record (Cu Kα (λ = 1.5418 Å)).
Kinematic intensities with the Lorentz-polarization factor, no thermal factor.

Structural model:
a = 9.1529 Å, b = 9.1529 Å, c = 6.2084 Å
α = 90.00°, β = 90.00°, γ = 90.00°
Fractional coordinates of all 18 atoms:
Li1 0.2500 0.7500 0.2500
Li2 0.7500 0.2500 0.7500
Sm1 0.0473 0.2500 0.0046
Sm2 0.2500 0.0473 0.5046
Sm3 0.2500 0.4527 0.5046
Sm4 0.4527 0.2500 0.0046
Sm5 0.5473 0.7500 0.9954
Sm6 0.7500 0.5473 0.4954
Sm7 0.7500 0.9527 0.4954
Sm8 0.9527 0.7500 0.9954
Te1 0.0265 0.7500 0.5026
Te2 0.2500 0.5265 0.9974
Te3 0.2500 0.9735 0.9974
Te4 0.4735 0.7500 0.5026
Te5 0.5265 0.2500 0.4974
Te6 0.7500 0.0265 0.0026
Te7 0.7500 0.4735 0.0026
Te8 0.9735 0.2500 0.4974
____________
Tobias Zöhrer, from the youth in Austria, said that he could really feel that the Holy Spirit was present and speaking to every member of the congress. There was a deep connection between all of the participants like the congress was a family meeting; we felt like relatives coming together from all over the world. Tobias also enjoyed the discussions throughout the congress but particularly with the international youth. When the youth stayed up until the early morning hours before their presentation this morning, he said that they were able to formulate and complete the proposals because of our strong connections with each other. “We have the same goals.”
What particularly stood out to him from the day’s discussions was that the central point of our Schoenstatt charism is the Covenant of Love. The Schoenstatt family is called to be humble, focusing on our values and living them out with love and the willingness to learn from others.
Tobias hopes that we continue to grow strong as an international community, and that communication among the international youth will be fostered and strengthened. He hopes to stay in contact with the youth he met here and to share ideas, concerns, and life with them. Unity and diversity were the strengths that made the congress so fruitful, and what connected everyone was the shared mission of the family. He hopes that open dialogue will continue and be strengthened throughout the whole Schoenstatt family.